Hi! I’m Jim Lindemann, born and raised in New York City, but throughout my ministry have come to also really value the life in smaller centers. With my deeply appreciated companion and wife, Tricia, our family bulges at the seams with four natural, two adopted, a variety of foster children, and now grandchildren (as well as cats, dogs, birds, fish…) – there is no end to the competition against getting the offered books finished. As retirement is at the doorstep, perhaps there may even come a time to pursue my Master’s interest in carpentry. Or not.

**Calculated molecules, kept here for reference**
┌──
C21H40Br2FNO8S | wB97M-V/def2-TZVPD

Cartesian coordinates (Å):
C 0.311 0.725 2.870
C -0.911 1.346 2.048
Br -0.700 1.321 0.069
C -2.074 1.883 2.646
Br -2.238 1.949 4.634
N -3.222 2.420 1.898
S -4.431 1.183 1.890
O -5.734 1.717 2.375
O -3.990 -0.071 2.593
F -4.655 0.729 0.272
H 0.127 -0.410 2.861
H 1.312 0.961 2.404
H 0.344 1.054 3.952
H -2.996 2.625 0.912
C -5.092 -1.665 -1.888
C -3.923 -2.452 -2.415
C -4.149 -3.909 -2.722
O -2.836 -1.932 -2.587
H -4.784 -0.634 -1.712
H -5.903 -1.668 -2.621
H -5.434 -2.094 -0.944
H -4.917 -4.012 -3.491
H -4.449 -4.438 -1.815
H -3.221 -4.349 -3.093
C 4.351 -1.612 3.473
C 3.986 -0.227 3.936
C 5.014 0.530 4.732
O 2.900 0.260 3.676
H 3.516 -2.037 2.912
H 5.224 -1.566 2.820
H 4.555 -2.251 4.335
H 5.918 0.671 4.136
H 5.248 -0.013 5.650
H 4.614 1.511 4.998
C -4.383 -1.335 -5.872
C -4.102 -2.541 -6.727
C -2.688 -2.735 -7.208
O -4.981 -3.328 -7.018
H -5.440 -1.323 -5.600
H -3.785 -1.380 -4.959
H -4.155 -0.423 -6.428
H -2.016 -2.841 -6.353
H -2.384 -1.886 -7.823
H -2.632 -3.643 -7.811
C 4.874 -1.653 -1.226
C 5.819 -2.136 -0.159
C 6.412 -3.509 -0.328
O 6.094 -1.443 0.803
H 4.525 -0.650 -0.974
H 5.388 -1.613 -2.188
H 4.010 -2.319 -1.286
H 6.995 -3.552 -1.250
H 5.617 -4.257 -0.349
H 7.073 -3.724 0.514
C -8.976 5.381 -0.394
C -8.011 5.279 0.758
C -7.323 3.957 0.971
O -7.797 6.228 1.487
H -9.396 6.388 -0.427
H -8.454 5.189 -1.334
H -9.790 4.666 -0.262
H -6.728 3.702 0.091
H -8.064 3.179 1.164
H -6.659 4.029 1.833
C 8.588 0.068 1.619
C 8.629 1.293 2.492
C 9.427 2.470 1.998
O 8.040 1.332 3.557
H 7.978 -0.698 2.100
H 8.142 0.315 0.654
H 9.598 -0.325 1.482
H 9.019 2.824 1.049
H 10.474 2.185 1.876
H 9.368 3.280 2.728

Atoms 1-6, force components in eV/Å:
-0.9410 -0.1600 -0.7539
-1.1668 0.8549 2.1794
-0.4635 0.0133 1.8670
2.6165 -0.8253 -1.3539
0.0135 0.0286 -2.1606
0.1987 -2.0380 0.2330

SMILES   C/C(Br)=C(\Br)NS(=O)(=O)F.CC(C)=O.CC(C)=O.CC(C)=O.CC(C)=O.CC(C)=O.CC(C)=O
Total charge   0
HOMO   -9.35 eV
E   -193930.5411 eV
Spin multiplicity   1
Relative energy (zero: lowest compared OMol25 entry of this formula, charge and spin)   41.4 kcal/mol
Gap between HOMO and LUMO   9.192 eV

----------

(i)
Entry from the Open Molecules 2025 dataset: one molecule with the formula C3H8ClP (ωB97M-V/def2-TZVPD).

Computed properties:
Orbital gap ... 10.408 eV
SMILES ... CP[C@@H](C)Cl

Each line ends with the natural charge from an NBO analysis.
Element x y z (Å)
1 C 0.711 1.756 0.069  -0.930
2 P 0.904 0.264 -1.048  0.582
3 C 0.111 -1.013 0.030  -0.519
4 C -1.467 -0.939 -0.001  -0.643
5 Cl 0.473 -2.644 -0.517  -0.043
6 H 0.409 1.664 1.115  0.229
7 H -0.046 2.380 -0.288  0.223
8 H 1.621 2.291 -0.074  0.235
9 H 2.257 -0.151 -0.412  -0.029
10 H 0.611 -0.903 1.173  0.232
11 H -1.773 -0.907 -1.066  0.219
12 H -2.035 -1.814 0.500  0.233
13 H -1.775 0.016 0.518  0.211



(ii)
Entry from the Open Molecules 2025 dataset: a 2-piece molecular cluster, C3H8ClP overall (ωB97M-V/def2-TZVPD).

Computed properties:
Orbital gap (alpha / beta) ... 8.302 / 8.668 eV
└──
**End of the calculated molecules**

I have been a pastor for over 35 years, ordained into the Lutheran ministry, and am the recipient of perspectives, concerns and interests handed down from a long line of pastors (note the example of “Exaudi, 1857”, sermon from my great grandfather, Fredrick Lindemann; and the example of “11 Sonnt n Trinity,” a sermon from his father, Johann Christoph Wilhelm Lindemann). My grandfather, Fred H Lindemann, amongst other books, wrote the four-volume series, The Sermon and The Propers, in which he related the texts for a given Sunday to its seasonal theme as well as to the Sacraments, providing direction for what a sermon might encompass.

I call my publishing company, “RFLindemann & Son, Publisher,” in reference to my Dad, Robert F Lindemann, who loved his work and his Lord. There were many subjects within his faith about which he was deeply interested, and he shared these pursuits with me. It was not difficult over the years for me to become infected with these interests, which have provided the seeds for these books. He was the fountain that watered these subjects, often through long discussions.

Then, sadly, one day he was gone. Mom encouraged me to put into print these topics over which he and I had wrestled. It has not been easy going it alone – I have missed his input as well as his delight over some newly realized Biblical tidbits. The Covenant study in particular has been a journey of over 20 years. Unfortunately, Mom did not get to see the completion of her vision.

However, the journey through these topics has indeed been well worth the trip for me. There have been insights that made me step back in wonder and humility at what God has done. I have had to come to terms with certain issues and some opinions have been clarified or modified. It has been a delight to assemble the pieces of information and insight as if to a jigsaw puzzle and to be transfixed by the picture that has emerged.

# Between two parts of the page: records of molecules
┌──
1.
└──

There is still much more to learn and errors will still be made. There are still seeds to cultivate. Sometimes the frustration is to figure out how to narrow the coverage down before the book becomes too large and the reader’s inclination to read it proportionately diminishes. Still, these topics are too valuable to merely say nothing. Hopefully, these books will at least start a dialogue, not just with me, but with one another. If this material gets people thinking, asking questions and investigating further, then what more could I ask for?